The first Aer Lingus flight to China to collect a batch of personal protective equipment (PPE) for the Irish health service arrived in Dublin on Sunday afternoon.
The flight arrived at Dublin Airport at about 3pm, having landed in Beijing shortly after 8pm on Saturday.
On Saturday, Minister for Health Simon Harris said the flight was the first of upwards of 10 flights carrying PPE, including surgical masks, gowns and eye shields for health service workers.
_Attached: calculated molecules_
No. 1
The following is a quantum chemistry calculation of a molecular structure, C50H59AsBrN3O14P4PbS, from OMol25.

Summary:
HOMO   -0.120 Ha
Frontier orbital gap   0.24782 hartree
Energy relative to the best compared isomer or geometry (same formula, charge and spin)   0.431 eV
Maximum force   0.044 hartree/bohr
Total charge   -2

Structure (XYZ):
```
134
Properties=species:S:1:pos:R:3:lowdin_charge:R:1
Pb -1.93889 -0.01327 0.50717 1.256
C -2.51454 0.34572 -5.30135 -0.043
C -1.64062 -0.73391 -4.67654 -0.408
C -2.08084 -1.07550 -3.27293 -0.048
O -0.25090 -0.33348 -4.75090 -0.172
P 0.71151 0.41908 -3.75363 0.475
O 0.89768 -0.01772 -2.37427 -0.253
C 0.39186 2.20509 -3.98258 -0.206
P -0.74149 2.95669 -2.76196 0.488
O -1.69505 2.10810 -2.04628 -0.274
O -1.60157 3.99930 -3.64001 -0.189
C -1.24013 5.20303 -4.31739 -0.448
C -2.07371 5.24616 -5.59028 -0.050
C 0.24780 5.33183 -4.62522 -0.060
O 0.25672 3.81777 -1.88055 -0.200
C -0.00210 4.01917 -0.45822 -0.426
C -0.75361 5.32424 -0.27437 -0.035
C 1.33469 3.99375 0.25039 -0.039
O 2.00775 0.28249 -4.69998 -0.201
C 3.33015 0.19575 -4.14312 -0.466
C 3.64673 -1.24662 -3.79082 -0.040
C 4.29259 0.71907 -5.19852 -0.055
H -3.52302 -0.04489 -5.43405 0.086
H -2.11848 0.64800 -6.27324 0.075
H -2.56534 1.21746 -4.64578 0.070
H -1.67235 -1.63013 -5.30149 0.141
H -2.14607 -0.16968 -2.67437 0.044
H -1.35811 -1.74502 -2.80998 0.064
H -3.04968 -1.57092 -3.27768 0.097
H -0.00451 2.32251 -4.98891 0.071
H 1.36086 2.69324 -3.89157 0.073
H -1.53400 6.03634 -3.66876 0.139
H -1.77790 4.43074 -6.25150 0.080
H -1.94020 6.19750 -6.10601 0.077
H -3.12623 5.12002 -5.34143 0.083
H 0.54893 4.60749 -5.38304 0.074
H 0.82764 5.16388 -3.72030 0.067
H 0.46001 6.33496 -4.99626 0.083
H -0.61945 3.20336 -0.09130 0.100
H -0.14832 6.17491 -0.59891 0.078
H -1.02598 5.42324 0.77487 0.080
H -1.67963 5.29457 -0.85081 0.084
H 1.94698 4.85323 -0.03435 0.078
H 1.85556 3.07344 -0.00865 0.045
H 1.16060 3.99597 1.32502 0.087
H 3.39231 0.81024 -3.23772 0.138
H 3.37040 -1.88582 -4.63048 0.089
H 3.06855 -1.54728 -2.92152 0.070
H 4.70668 -1.36038 -3.57410 0.079
H 4.22296 0.08657 -6.08482 0.082
H 5.30809 0.68586 -4.80390 0.078
H 4.05005 1.74454 -5.48026 0.073
O -2.86105 -1.13513 5.21003 -0.301
As -3.39179 -0.19886 3.71656 0.872
O -4.89353 -0.72846 3.44089 -0.465
O -2.13089 -0.67763 2.73042 -0.601
C -3.28205 1.51477 4.65695 -0.215
C -3.45518 1.53762 6.03636 -0.083
C -3.38771 2.73736 6.72804 -0.093
C -3.15907 3.93006 6.05106 -0.094
C -3.01565 3.92061 4.67435 -0.066
C -3.08562 2.71691 3.99189 -0.266
S -2.83721 2.69310 2.22906 0.410
O -1.39979 2.48428 2.08091 -0.408
O -3.27035 3.98589 1.73026 -0.322
O -3.63214 1.55746 1.74168 -0.458
H -2.61124 -1.98856 4.83019 -0.015
H -3.62649 0.60464 6.55597 0.098
H -3.50369 2.74541 7.80531 0.093
H -3.09084 4.86123 6.60077 0.093
H -2.85853 4.82242 4.09737 0.108
N 1.96118 -1.41914 1.13106 -0.425
P 2.38092 0.20581 0.96414 0.969
C 4.21371 0.07860 0.70666 -0.383
C 4.91250 -1.12208 0.65340 -0.094
C 6.27184 -1.13969 0.36941 -0.099
_Here the article continues_
Amb Eoin O’Leary thanking Mr MU Hong, GM of Resources Group as vital Personal Protection Equipment are crated up for our friends in @AerLingus ✈️ for delivery to front line health service staff ⚕️⚕️all over Ireland
— Irish Foreign Ministry (@dfatirl) March 28, 2020
Aer Lingus EI9019 has landed safely from Beijing, guided in by Dublin Air Traffic Control #safelanding #covid19ireland
— IAA (@IAApress) March 29, 2020
More than €225 million had been spent on PPE – compared with €15 million in a normal year, he said. The HSE will begin distributing about €20 million worth of PPE from Sunday evening and up to 10 further flights delivering more equipment were due between now and Wednesday, he said.
The arrival comes as stocks of personal protective equipment for healthcare staff tackling the coronavirus outbreak are "beginning to run low", according to the Health Service Executive.

The HSE is currently seeking to redistribute stocks to sites with “particular shortages”, it said in a statement. “We are encouraging staff to use these resources appropriately at this stage of the crisis.”
One group of doctors say they have procured €6,000 worth of PPE themselves after losing patience with the HSE’s efforts to supply the equipment.
Data records that have nothing to do with the entry:
+++
29
Properties=species:S:1:pos:R:3:mulliken_charge:R:1 method="wB97M-V/def2-TZVPD" multiplicity=1 total_charge=-1 total_energy_ha=-2903.33627
N 1.81 0.19 0.39 -0.429
C 1.66 -0.40 -0.93 -0.957
C 0.32 -0.03 -1.67 0.434
O -0.20 1.24 -1.31 -0.473
C -0.76 -1.18 -1.55 -1.506
P -1.63 -1.33 0.16 -0.337
P -3.17 0.23 -0.26 0.588
O -3.34 0.69 -1.87 -0.553
O -4.71 -0.38 0.17 -0.553
S -2.87 1.82 0.85 -0.518
H 1.61 1.18 0.39 0.236
H 1.29 -0.31 1.10 0.255
H 1.86 -1.48 -0.92 0.330
H 2.47 0.04 -1.56 0.321
H 0.57 0.02 -2.76 0.366
H 0.34 1.90 -1.73 0.269
H -0.16 -2.11 -1.66 0.519
H -1.45 -1.17 -2.42 0.383
H -0.79 -0.29 0.74 -0.182
H -2.29 -1.49 1.46 0.115
H -2.49 -2.37 -0.40 0.044
H -0.64 -2.33 0.55 0.081
H -2.69 1.37 -2.06 0.321
H -5.34 0.04 -0.42 0.277
C 4.09 1.20 3.03 0.317
Cl 4.44 2.94 3.07 -0.146
Cl 5.53 0.27 3.48 -0.151
Cl 2.74 0.82 4.11 -0.126
H 3.80 0.93 2.02 0.073

---

50
Properties=species:S:1:pos:R:3:mulliken_charge:R:1 method="wB97M-V/def2-TZVPD" multiplicity=1 total_charge=+2 total_energy_ha=-4301.69570
C 5.94 0.00 3.75 -1.005
C 4.71 -1.03 3.72 -0.436
C 3.76 -0.62 4.94 -0.686
I 4.04 -2.11 6.49 0.133
C 2.26 -0.38 4.54 1.120
C 1.13 -1.02 5.24 -0.863
C -0.31 -0.75 4.86 0.584
N -1.41 -1.34 5.55 -0.533
S -2.73 -0.72 4.73 0.228
N -2.12 0.26 3.47 -0.607
C -0.69 0.17 3.70 0.077
C 0.46 0.81 3.00 -0.347
C 1.86 0.58 3.40 -0.096
Br 3.17 1.60 2.35 -0.134
H 6.79 -0.33 3.09 0.340
H 5.64 1.05 3.51 0.249
H 6.30 0.01 4.83 0.295
H 5.16 -2.05 3.89 0.380
H 4.20 -0.99 2.71 0.283
H 4.13 0.36 5.36 0.518
H 1.27 -1.71 6.10 0.148
H 0.22 1.51 2.14 0.366
C -2.67 2.61 -7.59 -0.864
N -2.45 1.86 -6.33 -0.012
C -1.24 1.33 -6.09 -0.347
C -0.99 0.66 -4.90 -0.586
C -2.00 0.53 -3.94 0.594
C -3.24 1.07 -4.24 -0.717
C -3.45 1.73 -5.44 -0.101
C -1.75 -0.13 -2.64 0.793
C -1.96 0.56 -1.45 -0.828
C -1.78 -0.07 -0.23 -0.163
N -1.41 -1.36 -0.19 0.057
C -1.18 -2.06 -1.32 -0.352
C -1.34 -1.46 -2.55 -0.597
C -1.27 -2.04 1.12 -0.837
H -2.43 1.95 -8.42 0.377
H -2.01 3.47 -7.58 0.375
H -3.71 2.93 -7.65 0.281
H -0.48 1.46 -6.84 0.487
H 0.00 0.26 -4.73 0.508
H -4.07 0.99 -3.54 0.509
H -4.41 2.17 -5.69 0.401
H -2.26 1.60 -1.45 0.508
H -1.93 0.44 0.71 0.546
H -0.88 -3.09 -1.21 0.494
H -1.17 -2.05 -3.44 0.521
H -0.26 -2.44 1.19 0.427
H -2.01 -2.84 1.15 0.424
H -1.44 -1.34 1.93 0.086

---

Max |F| readings, ordered: 2.5; 4.9 eV/Å
Gap between HOMO and LUMO readings, ordered: 0.233; 0.188 hartree

----------

Record 1
Entry from the Open Molecules 2025 dataset: C4H6O2 in the gas phase in a non-equilibrium geometry (ωB97M-V/def2-TZVPD).

Calculated values
* LUMO: 0.768 eV
* frontier orbital gap: 10.597 eV
* E_HOMO: -9.83 eV
* calculated total energy: -8338.6673 eV
* energy above the lowest of the compared OMol25 structures with the same formula, charge and spin: 173.1 kJ/mol
* SMILES: O=C[C@@H]1C[C@@H]1O

Each line ends with the Mulliken charge.
Positions of all 12 atoms, in Å:
O: 0.0648 -1.6825 -0.6321  -0.5209
C: 0.7924 -0.6120 -0.0878  0.0356
C: 0.6342 0.7397 -0.7002  -0.7824
C: 0.0071 0.4382 0.6526  0.0676
+++
This €28 million delivery is the first batch of a large contract which the HSE says will address any current shortages.
Sources say Defence Forces trucks will be used to distribute the consignment, starting on Sunday evening.
HSE chief executive Paul Reid outlined the scale-up involved. "We would normally procure 500,000 masks a year," he said on Sunday. "This year, up to the the end of May with our delivery we're planning to procure over 36 million masks. On eye protections, we normally procure 200,000 a year; we'll be procuring 24.4 million. On gowns, we will normally procure 100,000 gallons per year; we're procuring over 24 million this year by May.
“And gloves, we normally procure four million and our plan is to procure 56 million.
-- Inserted here: records of molecules --
Entry 1:
{"formula": "C13H24CeN4OS", "method": "ωB97M-V/def2-TZVPD", "species": ["Ce", "C", "C", "N", "C", "C", "C", "C", "C", "C", "C", "N", "C", "C", "N", "N", "H", "H", "H", "H", "H", "H", "H", "H", "H", "H", "H", "H", "H", "H", "H", "H", "H", "H", "C", "S", "C", "O", "H", "H", "H", "H", "H", "H"], "coordinates": [[0.6333, -1.0376, -0.2039], [-0.6983, 1.7114, -1.3739], [-0.3750, 0.8258, -2.6036], [-0.6449, -0.6221, -2.4274], [-2.0458, -1.1240, -2.4056], [-2.6919, -1.0322, -1.0398], [-4.0728, -0.9112, -0.9037], [-4.6395, -0.8395, 0.3555], [-3.8069, -0.8681, 1.4747], [-2.4277, -0.9419, 1.2962], [-1.4931, -0.8943, 2.5059], [-0.1103, -0.3926, 2.2486], [0.0231, 1.1073, 2.3337], [-0.4717, 1.8317, 1.0931], [0.1399, 1.3646, -0.1843], [-1.8522, -0.9690, 0.0590], [-0.4923, 2.7336, -1.6778], [-1.7398, 1.6201, -1.0834], [-0.9306, 1.1911, -3.4471], [0.6887, 0.8912, -2.8846], [-0.1636, -1.1255, -3.2116], [-2.6124, -0.5343, -3.0935], [-2.1259, -2.1845, -2.7225], [-4.6191, -0.8341, -1.8129], [-5.7058, -0.6661, 0.4693], [-4.2078, -0.8157, 2.4512], [-1.9055, -0.3848, 3.3597], [-1.4154, -1.9277, 2.9066], [0.4378, -0.7394, 3.0443], [-0.5113, 1.4912, 3.1850], [1.1050, 1.2724, 2.5002], [-1.5514, 1.7167, 0.9587], [-0.2240, 2.8760, 1.2267], [1.0549, 1.7680, -0.2457], [5.1119, 0.4715, 1.0193], [4.0963, 0.1193, -0.3647], [5.2067, -1.1546, -1.1120], [2.8735, -0.6145, 0.2031], [5.3731, -0.4537, 1.5013], [4.5369, 1.1011, 1.6803], [6.0001, 1.0466, 0.7706], [5.9338, -0.5780, -1.6689], [4.6151, -1.7293, -1.8242], [5.7049, -1.7647, -0.3519]], "total_charge": 3, "spin_multiplicity": 2, "e_tot_ev": -45618.527, "homo_lumo_gap_ev": [9.0, 9.0], "e_lumo_ev": [-9.74, -9.68], "relative_energy_kj_mol": 0.0}

***

Entry 2:
“Obviously we’re as anxious as everybody, including our staff, to see every one of those flights come in with that delivery.”
Mr Reid said the first batch had been expected by Irish Government officials and deemed to meet World Health Organisation (WHO) standards. The Northern Ireland Executive is also securing PPE from China as part of a joint order with the HSE.
The first flight attracted much public attention, with officials from both China and Ireland providing regular Twitter updates on its progress. Mr Harris said: “We are doing everything that is humanly possible to secure as much personal protective equipment as we can.
“I want to thank the crew, I want to thank the airline, I want to thank the HSE, the Department of Foreign Affairs, the Chinese authorities – everyone who has worked so hard to get this.
“There is a shortage of personal protective equipment right throughout the world.”
Conserve stock
The HSE in a statement on Saturday said it was seeking to manage prudently current PPE supplies “in light of the global shortage of this essential equipment at a time of unprecedented demand”.
Since February 1st, about €30 million had been invested in PPE stock, “which are now beginning to run low”.
The HSE had been urging hospitals to "preserve" stock until new deliveries arrive. The health service is short of goggles but not of other equipment such as masks, according to HSE chief operating officer Dr Colm Henry.
Dr Henry has told staff, in a memo seen by The Irish Times, to conserve stock by reducing their risk to exposure, not using PPE when they can avoid exposure, substituting some items for others, extending the use of equipment and “reprocessed” PPE.
Last week, the Irish Hospital Consultants Association wrote to the Minister for Health warning stocks of PPE were running out in some locations,“leaving frontline staff and their patients in extremely exposed positions”.
More than €60 million has been spent so far this year on protective equipment in the fight against the virus, also known as Covid-19, compared with a traditional yearly allocation of €15 million.
Earlier this week, a donation of equipment from Chinese entrepreneur Jack Ma, including masks, testing kits and protective suits, arrived in Ireland. – Additional reporting: PA